### Wanted
Echo everything underneath verbatim.

### Listing
********
No. 1
Computed, not measured: a single C20H25N5O3S molecule in a non-equilibrium geometry, with the ωB97M-V functional and the def2-TZVPD basis.

Each line ends with the Mulliken charge.
Atoms and positions in Å:
S1 -0.0093 3.8806 -1.1898  1.383
O1 0.8106 4.9028 -1.7692  -0.735
O2 -1.6922 -1.0616 -1.4546  -0.710
O3 0.4172 3.2990 0.0553  -0.711
N1 2.2824 -3.4287 3.2267  -0.327
N2 -3.5887 4.8205 0.3818  -0.615
N3 -0.3083 2.7374 -2.3791  0.275
N4 1.2537 -3.5962 1.1815  0.080
N5 -0.2656 -1.3972 0.2427  0.079
C1 0.8043 2.4690 -3.2682  -1.061
C2 1.8381 1.5576 -2.6106  -0.537
C3 0.7161 -5.2063 2.9360  -0.536
C4 0.9296 -1.1709 1.0248  -0.427
C5 1.8981 -2.3486 0.8324  -0.912
C6 -3.5423 5.6895 -1.8447  -0.482
C7 -2.2580 5.2016 -2.0246  -0.414
C8 -0.9161 -2.6479 0.5840  -0.871
C9 -0.9588 1.5475 -1.8805  -1.753
C10 -0.7229 -0.6883 -0.8146  -0.088
C11 0.0664 -3.8105 0.3870  -0.938
C12 1.9039 -4.9744 5.0018  -0.465
C13 0.9795 -5.6500 4.2133  -0.563
C14 -2.3622 4.3599 0.2100  -0.020
C15 -4.1603 5.4664 -0.6204  -0.226
C16 -1.6648 4.5241 -0.9745  -0.027
C17 2.5255 -3.8728 4.4461  -0.444
C18 1.3941 -4.0700 2.4614  0.968
C19 1.1689 0.2659 -2.1460  -0.486
C20 0.0171 0.5898 -1.1839  1.144
H1 -4.0510 6.2271 -2.6293  0.388
H2 1.9019 -0.3792 -1.6573  0.148
H3 1.4154 -0.2384 0.7516  0.346
H4 1.2417 3.4354 -3.5206  0.487
H5 -5.1634 5.8228 -0.4279  0.359
H6 2.2065 -2.4087 -0.2165  0.371
H7 -1.7091 5.3368 -2.9433  0.431
H8 -1.7875 -2.7594 -0.0624  0.530
H9 0.7657 -0.2707 -3.0093  0.334
H10 3.2580 -3.2996 5.0007  0.383
H11 0.4012 2.0046 -4.1738  0.414
H12 2.7701 -2.2241 1.4726  0.388
H13 0.3658 -3.8510 -0.6659  0.363
H14 0.4681 -6.5219 4.5959  0.400
H15 -1.7345 1.8649 -1.1802  0.378
H16 0.0091 -5.7396 2.3218  0.247
H17 -1.2349 -2.6114 1.6319  0.305
H18 2.6394 1.3372 -3.3177  0.432
H19 0.6505 -1.1227 2.0841  0.220
H20 -1.9073 3.8416 1.0426  0.481
H21 2.2648 2.0804 -1.7517  0.317
H22 2.1292 -5.2965 6.0053  0.380
H23 -0.4144 -4.7518 0.6424  0.363
H24 0.4002 1.1018 -0.2997  0.631
H25 -1.4412 1.0339 -2.7173  0.324

The total energy comes out at -1674.8223 a.u. The value obtained for the gap between HOMO and LUMO is 8.39 eV. The energy relative to the best compared isomer or geometry (same formula, charge and spin) comes out at 1.629 eV. Its SMILES is O=C([C@H]1CCCN(S(=O)(=O)c2cccnc2)C1)N1CCN(c2ccccn2)CC1. Its HOMO energy is -0.29238 Ha.

No. 2
Computed, not measured: C20H25N5OPtS2 as an isolated structure in a non-equilibrium geometry, with the ωB97M-V functional and the def2-TZVPD basis.

Each line ends with the Mulliken charge.
Atoms and positions in Å:
Pt1 0.6026 0.5415 0.4324  0.850
S1 0.6945 2.7548 1.1685  -0.615
S2 2.0821 -1.3420 1.1057  -0.521
O1 2.7247 -1.0861 -1.7819  -0.462
N1 0.3786 2.8847 -1.8907  -0.287
N2 1.9895 1.9454 -3.2670  0.065
N3 1.4865 0.8646 -1.3373  -0.333
N4 -0.8184 0.2698 1.9945  0.577
N5 -0.6461 -1.4852 -0.3929  1.130
C1 1.6369 -5.0420 -0.4593  -0.625
C2 -0.3489 -0.6637 3.0568  -1.053
C3 -2.2570 1.4972 3.5814  -0.226
C4 -1.7327 -1.5971 0.5763  -1.133
C5 -2.0111 -0.2914 1.2773  -0.757
C6 -1.2334 1.5367 2.6333  -0.049
C7 1.2651 1.9337 -2.1332  0.756
C8 1.4128 -2.7109 0.2380  0.751
C9 0.1717 -2.6926 -0.4092  -0.550
C10 -2.0289 3.8557 3.9225  -0.526
C11 -0.3342 -3.8311 -1.0370  -0.459
C12 1.7617 2.8137 -4.4010  -1.152
C13 2.3505 0.0083 -2.0693  0.163
C14 -0.6080 2.7199 2.3203  0.666
C15 -2.6627 2.6497 4.2260  -0.992
C16 -1.0164 3.8867 2.9853  -0.567
C17 2.1306 -3.9198 0.1770  -0.637
C18 2.7122 0.6990 -3.3657  -0.403
C19 -1.1296 -1.1260 -1.7315  -1.396
C20 0.3859 -5.0102 -1.0707  -0.851
H1 0.9306 2.4736 -5.0236  0.341
H2 -1.5849 -0.1354 -1.7007  0.315
H3 -1.1789 -0.9216 3.7213  0.369
H4 0.0827 -1.5498 2.6109  0.373
H5 -2.8166 -0.4698 1.9953  0.474
H6 2.2292 -5.9494 -0.4807  0.376
H7 0.4345 -0.1676 3.6214  0.251
H8 -2.6634 -1.9341 0.0992  0.408
H9 1.5650 3.8350 -4.0805  0.393
H10 0.4276 3.7359 -2.4195  0.198
H11 -1.8713 -1.8400 -2.1062  0.421
H12 -2.7351 0.5566 3.8237  0.248
H13 -1.4612 -2.3596 1.3028  0.540
********

### Here it is
No. 1
Computed, not measured: a single C20H25N5O3S molecule in a non-equilibrium geometry, with the ωB97M-V functional and the def2-TZVPD basis.

Each line ends with the Mulliken charge.
Atoms and positions in Å:
S1 -0.0093 3.8806 -1.1898  1.383
O1 0.8106 4.9028 -1.7692  -0.735
O2 -1.6922 -1.0616 -1.4546  -0.710
O3 0.4172 3.2990 0.0553  -0.711
N1 2.2824 -3.4287 3.2267  -0.327
N2 -3.5887 4.8205 0.3818  -0.615
N3 -0.3083 2.7374 -2.3791  0.275
N4 1.2537 -3.5962 1.1815  0.080
N5 -0.2656 -1.3972 0.2427  0.079
C1 0.8043 2.4690 -3.2682  -1.061
C2 1.8381 1.5576 -2.6106  -0.537
C3 0.7161 -5.2063 2.9360  -0.536
C4 0.9296 -1.1709 1.0248  -0.427
C5 1.8981 -2.3486 0.8324  -0.912
C6 -3.5423 5.6895 -1.8447  -0.482
C7 -2.2580 5.2016 -2.0246  -0.414
C8 -0.9161 -2.6479 0.5840  -0.871
C9 -0.9588 1.5475 -1.8805  -1.753
C10 -0.7229 -0.6883 -0.8146  -0.088
C11 0.0664 -3.8105 0.3870  -0.938
C12 1.9039 -4.9744 5.0018  -0.465
C13 0.9795 -5.6500 4.2133  -0.563
C14 -2.3622 4.3599 0.2100  -0.020
C15 -4.1603 5.4664 -0.6204  -0.226
C16 -1.6648 4.5241 -0.9745  -0.027
C17 2.5255 -3.8728 4.4461  -0.444
C18 1.3941 -4.0700 2.4614  0.968
C19 1.1689 0.2659 -2.1460  -0.486
C20 0.0171 0.5898 -1.1839  1.144
H1 -4.0510 6.2271 -2.6293  0.388
H2 1.9019 -0.3792 -1.6573  0.148
H3 1.4154 -0.2384 0.7516  0.346
H4 1.2417 3.4354 -3.5206  0.487
H5 -5.1634 5.8228 -0.4279  0.359
H6 2.2065 -2.4087 -0.2165  0.371
H7 -1.7091 5.3368 -2.9433  0.431
H8 -1.7875 -2.7594 -0.0624  0.530
H9 0.7657 -0.2707 -3.0093  0.334
H10 3.2580 -3.2996 5.0007  0.383
H11 0.4012 2.0046 -4.1738  0.414
H12 2.7701 -2.2241 1.4726  0.388
H13 0.3658 -3.8510 -0.6659  0.363
H14 0.4681 -6.5219 4.5959  0.400
H15 -1.7345 1.8649 -1.1802  0.378
H16 0.0091 -5.7396 2.3218  0.247
H17 -1.2349 -2.6114 1.6319  0.305
H18 2.6394 1.3372 -3.3177  0.432
H19 0.6505 -1.1227 2.0841  0.220
H20 -1.9073 3.8416 1.0426  0.481
H21 2.2648 2.0804 -1.7517  0.317
H22 2.1292 -5.2965 6.0053  0.380
H23 -0.4144 -4.7518 0.6424  0.363
H24 0.4002 1.1018 -0.2997  0.631
H25 -1.4412 1.0339 -2.7173  0.324

The total energy comes out at -1674.8223 a.u. The value obtained for the gap between HOMO and LUMO is 8.39 eV. The energy relative to the best compared isomer or geometry (same formula, charge and spin) comes out at 1.629 eV. Its SMILES is O=C([C@H]1CCCN(S(=O)(=O)c2cccnc2)C1)N1CCN(c2ccccn2)CC1. Its HOMO energy is -0.29238 Ha.

No. 2
Computed, not measured: C20H25N5OPtS2 as an isolated structure in a non-equilibrium geometry, with the ωB97M-V functional and the def2-TZVPD basis.

Each line ends with the Mulliken charge.
Atoms and positions in Å:
Pt1 0.6026 0.5415 0.4324  0.850
S1 0.6945 2.7548 1.1685  -0.615
S2 2.0821 -1.3420 1.1057  -0.521
O1 2.7247 -1.0861 -1.7819  -0.462
N1 0.3786 2.8847 -1.8907  -0.287
N2 1.9895 1.9454 -3.2670  0.065
N3 1.4865 0.8646 -1.3373  -0.333
N4 -0.8184 0.2698 1.9945  0.577
N5 -0.6461 -1.4852 -0.3929  1.130
C1 1.6369 -5.0420 -0.4593  -0.625
C2 -0.3489 -0.6637 3.0568  -1.053
C3 -2.2570 1.4972 3.5814  -0.226
C4 -1.7327 -1.5971 0.5763  -1.133
C5 -2.0111 -0.2914 1.2773  -0.757
C6 -1.2334 1.5367 2.6333  -0.049
C7 1.2651 1.9337 -2.1332  0.756
C8 1.4128 -2.7109 0.2380  0.751
C9 0.1717 -2.6926 -0.4092  -0.550
C10 -2.0289 3.8557 3.9225  -0.526
C11 -0.3342 -3.8311 -1.0370  -0.459
C12 1.7617 2.8137 -4.4010  -1.152
C13 2.3505 0.0083 -2.0693  0.163
C14 -0.6080 2.7199 2.3203  0.666
C15 -2.6627 2.6497 4.2260  -0.992
C16 -1.0164 3.8867 2.9853  -0.567
C17 2.1306 -3.9198 0.1770  -0.637
C18 2.7122 0.6990 -3.3657  -0.403
C19 -1.1296 -1.1260 -1.7315  -1.396
C20 0.3859 -5.0102 -1.0707  -0.851
H1 0.9306 2.4736 -5.0236  0.341
H2 -1.5849 -0.1354 -1.7007  0.315
H3 -1.1789 -0.9216 3.7213  0.369
H4 0.0827 -1.5498 2.6109  0.373
H5 -2.8166 -0.4698 1.9953  0.474
H6 2.2292 -5.9494 -0.4807  0.376
H7 0.4345 -0.1676 3.6214  0.251
H8 -2.6634 -1.9341 0.0992  0.408
H9 1.5650 3.8350 -4.0805  0.393
H10 0.4276 3.7359 -2.4195  0.198
H11 -1.8713 -1.8400 -2.1062  0.421
H12 -2.7351 0.5566 3.8237  0.248
H13 -1.4612 -2.3596 1.3028  0.540